Input >
____________
Entry 1:
The following is a DFT calculation (ωB97M-V/def2-TZVPD) of a molecular structure, C50H63As3GaOSbSi.

The geometry in XYZ format:
```
120
Properties=species:S:1:pos:R:3
Ga -0.46 0.13 -0.08
C -1.41 -3.96 -0.86
As -1.08 -2.11 -1.43
C -2.77 -1.83 -2.37
C 0.03 -2.16 -3.09
C 1.55 -2.37 -3.06
C 1.87 -3.47 -2.05
C 2.31 -1.09 -2.71
As 2.03 -0.26 -0.92
C 3.16 -1.24 0.33
C 3.15 1.33 -1.09
C 1.92 -2.83 -4.49
As 3.76 -3.04 -5.32
C 4.30 -1.14 -5.48
C 4.95 -3.51 -3.82
H -1.68 -4.57 -1.72
H -2.25 -3.93 -0.16
H -0.56 -4.40 -0.35
H -2.86 -2.56 -3.18
H -2.85 -0.83 -2.80
H -3.61 -1.97 -1.68
H -0.22 -1.24 -3.64
H -0.42 -3.00 -3.65
H 1.49 -3.17 -1.06
H 2.94 -3.64 -1.98
H 1.39 -4.40 -2.34
H 2.08 -0.31 -3.45
H 3.38 -1.28 -2.77
H 4.08 -1.54 -0.18
H 2.67 -2.12 0.74
H 3.41 -0.57 1.15
H 4.17 1.03 -1.36
H 3.18 1.84 -0.12
H 2.78 2.03 -1.83
H 1.40 -2.18 -5.20
H 1.47 -3.82 -4.63
H 3.49 -0.53 -5.88
H 5.11 -1.10 -6.20
H 4.67 -0.70 -4.55
H 4.69 -4.48 -3.40
H 5.00 -2.77 -3.02
H 5.95 -3.60 -4.24
O -0.40 -0.11 1.63
Si -0.61 -0.58 3.20
C -0.03 -2.37 3.32
C 0.02 -2.97 4.58
C 0.43 -4.28 4.74
C 0.82 -5.02 3.63
C 0.78 -4.44 2.37
C 0.36 -3.13 2.22
C -2.44 -0.42 3.64
C -3.11 0.78 3.45
C -4.40 0.97 3.92
C -5.03 -0.04 4.61
C -4.39 -1.26 4.79
C -3.11 -1.44 4.31
C 0.43 0.48 4.37
C -0.15 1.45 5.18
C 0.56 2.04 6.21
C 1.87 1.67 6.46
C 2.48 0.74 5.63
C 1.77 0.16 4.60
H -0.27 -2.39 5.44
H 0.45 -4.72 5.72
H 1.14 -6.05 3.75
H 1.09 -5.02 1.51
H 0.32 -2.67 1.23
H -2.59 1.59 2.95
H -4.90 1.92 3.78
H -6.02 0.12 5.02
H -4.90 -2.05 5.31
H -2.61 -2.39 4.48
H -1.18 1.74 5.01
H 0.08 2.78 6.83
H 2.41 2.09 7.29
H 3.50 0.45 5.81
H 2.24 -0.58 3.97
C -2.76 5.29 -1.51
C -1.58 4.78 -2.28
C -0.95 5.58 -3.23
C 0.15 5.11 -3.93
C 0.64 3.84 -3.70
C 0.02 3.03 -2.76
C -1.09 3.50 -2.06
Sb -2.03 2.20 -0.65
C -1.86 3.28 1.19
C -0.56 3.21 1.65
C -0.21 3.83 2.84
C -1.17 4.54 3.53
C -2.46 4.63 3.05
C -2.85 3.98 1.88
C -4.27 4.05 1.43
C -3.84 1.65 -1.65
C -4.04 2.14 -2.94
C -5.13 1.70 -3.67
C -5.99 0.76 -3.13
C -5.77 0.27 -1.85
C -4.69 0.70 -1.09
C -4.42 0.14 0.27
H -3.18 6.18 -1.96
H -2.45 5.54 -0.49
H -3.54 4.53 -1.45
H -1.32 6.57 -3.41
H 0.62 5.75 -4.66
H 1.49 3.48 -4.25
H 0.39 2.02 -2.57
H 0.19 2.66 1.09
H 0.80 3.74 3.21
H -0.90 5.03 4.45
H -3.20 5.20 3.59
H -4.58 5.08 1.26
H -4.93 3.66 2.21
H -4.44 3.47 0.51
H -3.35 2.86 -3.36
H -5.29 2.08 -4.67
H -6.84 0.41 -3.69
H -6.44 -0.47 -1.44
H -5.20 -0.54 0.58
H -4.35 0.94 1.03
H -3.47 -0.41 0.29
```

Highest occupied orbital energy in eV: -12.781
Frontier orbital gap in eV: 7.11
Charge: +2
ΔE to the lowest compared entry with this formula, charge and spin in kJ/mol: 54.4
LUMO level in eV: -5.7

***

Entry 2:
The following is a DFT calculation (ωB97M-V/def2-TZVPD) of a molecular structure, C38H46OP2SiSr.

The geometry in XYZ format:
```
89
Properties=species:S:1:pos:R:3
Sr -2.63 3.10 -3.06
C 3.18 0.51 -0.49
C 2.89 1.50 -1.35
C 2.99 1.45 -2.84
C 1.73 0.91 -3.56
C 1.30 -0.45 -3.10
C 2.04 -1.41 -2.51
C 3.49 -1.44 -2.15
C 3.83 -0.81 -0.80
C -3.98 0.87 -2.67
H 2.97 0.68 0.58
H 2.61 2.47 -0.92
H 3.86 0.89 -3.17
H 3.14 2.48 -3.20
H 0.88 1.62 -3.42
H 1.92 0.89 -4.65
H 0.24 -0.68 -3.32
H 1.51 -2.33 -2.22
H 4.14 -1.04 -2.93
H 3.75 -2.50 -2.09
H 3.53 -1.51 0.00
H 4.93 -0.76 -0.73
H -4.01 1.20 -1.62
H -3.16 0.15 -2.86
H -4.93 0.49 -3.05
P -2.47 5.88 -3.66
P -4.30 3.89 -5.47
C -1.95 5.37 -5.33
____________
Activity >
Print the rows above from the first line to the one with "0.39 2.02" without altering anything.
Completed >
Entry 1:
The following is a DFT calculation (ωB97M-V/def2-TZVPD) of a molecular structure, C50H63As3GaOSbSi.

The geometry in XYZ format:
```
120
Properties=species:S:1:pos:R:3
Ga -0.46 0.13 -0.08
C -1.41 -3.96 -0.86
As -1.08 -2.11 -1.43
C -2.77 -1.83 -2.37
C 0.03 -2.16 -3.09
C 1.55 -2.37 -3.06
C 1.87 -3.47 -2.05
C 2.31 -1.09 -2.71
As 2.03 -0.26 -0.92
C 3.16 -1.24 0.33
C 3.15 1.33 -1.09
C 1.92 -2.83 -4.49
As 3.76 -3.04 -5.32
C 4.30 -1.14 -5.48
C 4.95 -3.51 -3.82
H -1.68 -4.57 -1.72
H -2.25 -3.93 -0.16
H -0.56 -4.40 -0.35
H -2.86 -2.56 -3.18
H -2.85 -0.83 -2.80
H -3.61 -1.97 -1.68
H -0.22 -1.24 -3.64
H -0.42 -3.00 -3.65
H 1.49 -3.17 -1.06
H 2.94 -3.64 -1.98
H 1.39 -4.40 -2.34
H 2.08 -0.31 -3.45
H 3.38 -1.28 -2.77
H 4.08 -1.54 -0.18
H 2.67 -2.12 0.74
H 3.41 -0.57 1.15
H 4.17 1.03 -1.36
H 3.18 1.84 -0.12
H 2.78 2.03 -1.83
H 1.40 -2.18 -5.20
H 1.47 -3.82 -4.63
H 3.49 -0.53 -5.88
H 5.11 -1.10 -6.20
H 4.67 -0.70 -4.55
H 4.69 -4.48 -3.40
H 5.00 -2.77 -3.02
H 5.95 -3.60 -4.24
O -0.40 -0.11 1.63
Si -0.61 -0.58 3.20
C -0.03 -2.37 3.32
C 0.02 -2.97 4.58
C 0.43 -4.28 4.74
C 0.82 -5.02 3.63
C 0.78 -4.44 2.37
C 0.36 -3.13 2.22
C -2.44 -0.42 3.64
C -3.11 0.78 3.45
C -4.40 0.97 3.92
C -5.03 -0.04 4.61
C -4.39 -1.26 4.79
C -3.11 -1.44 4.31
C 0.43 0.48 4.37
C -0.15 1.45 5.18
C 0.56 2.04 6.21
C 1.87 1.67 6.46
C 2.48 0.74 5.63
C 1.77 0.16 4.60
H -0.27 -2.39 5.44
H 0.45 -4.72 5.72
H 1.14 -6.05 3.75
H 1.09 -5.02 1.51
H 0.32 -2.67 1.23
H -2.59 1.59 2.95
H -4.90 1.92 3.78
H -6.02 0.12 5.02
H -4.90 -2.05 5.31
H -2.61 -2.39 4.48
H -1.18 1.74 5.01
H 0.08 2.78 6.83
H 2.41 2.09 7.29
H 3.50 0.45 5.81
H 2.24 -0.58 3.97
C -2.76 5.29 -1.51
C -1.58 4.78 -2.28
C -0.95 5.58 -3.23
C 0.15 5.11 -3.93
C 0.64 3.84 -3.70
C 0.02 3.03 -2.76
C -1.09 3.50 -2.06
Sb -2.03 2.20 -0.65
C -1.86 3.28 1.19
C -0.56 3.21 1.65
C -0.21 3.83 2.84
C -1.17 4.54 3.53
C -2.46 4.63 3.05
C -2.85 3.98 1.88
C -4.27 4.05 1.43
C -3.84 1.65 -1.65
C -4.04 2.14 -2.94
C -5.13 1.70 -3.67
C -5.99 0.76 -3.13
C -5.77 0.27 -1.85
C -4.69 0.70 -1.09
C -4.42 0.14 0.27
H -3.18 6.18 -1.96
H -2.45 5.54 -0.49
H -3.54 4.53 -1.45
H -1.32 6.57 -3.41
H 0.62 5.75 -4.66
H 1.49 3.48 -4.25
H 0.39 2.02 -2.57